Sunday, March 19, 2017

So.... how about that Lenten season?

This is definitely the most ‘off-the-cuff’ blog post that I’ve published thus far… but I sense the need to write, particularly about Lent and where we are at about a third of the way through, having flown through the two-and-a-half weeks that have already passed since Ash Wednesday.

I was asked by someone last week: ‘How is your lent going?’ To which I replied: ‘Pretty good. Yeah, it’s going well.’ Which was true, but upon reflecting a bit more on this question as the next few days went by, I realized that my Lent is going okay, but that I’m really not getting as much out of it as I want to, or probably should. This unexpected reflection led me to take a step back and re-evaluate my Lenten commitments (or lack thereof) and really contemplate what I am doing, what I should be doing, and how I can get more out of this Lenten season. I decided that it’s never too late to make a change; and that just because Lent is well underway already, does not mean that I can’t commit myself to something more, something new, etc. to make the most out of the remaining weeks in this holy season.

To be honest, Lent is hard for me. I used to love Lent and the time of sacrifice, prayer, & depth… it used to be something that I actually looked forward to. However, after having experienced various sufferings and sacrifices that caused me to feel as if my whole life had been Lent for years on end, entering into a season of extra sacrifice and mortification has lost some of the grandeur it once had for me. So for the past few years, I’ve had a difficult time anticipating this season, preparing for it, and fully entering into it. One of the changes I’ve decided to make at this one-third of the way through point, is to give up Facebook for the remainder of Lent. I realized that the time I was spending perusing through it was taking away from time for prayer, or even just constructive time taking care of whatever else in life needs attention. I also made some new commitments concerning my daily prayer, to try and cultivate a more consistent and committed prayer life.

What about you? How is your Lent going? What are you doing well, or what do you need to change or recommit to in order to get more out of this holy season? Remember that it’s never too late to change and never too late to begin again. Don’t settle for thinking that you’ve already blown it and maybe next year will be better. We are not guaranteed next year, but we ARE guaranteed the present moment. We are guaranteed right now. What comes to mind right now that Jesus is calling you to do in order to go deeper this Lent?

Sunday, March 5, 2017

Attached: crystal structures
'''
Record 1
Material: Cs2LiSmCl6
Method: DFT, GGA-PBE
State: optimized geometry

Calculated values
Total DFT energy (no corrections)   -4.06 eV per atom
Volume   30.83 Å³/atom
DFT formation energy   -2.479 eV/atom

Cell: 10.7240 10.7240 10.7240 Å, 90.00 90.00 90.00°
Space group Fm-3m (No. 225)
One atom of each set of equivalent atoms:
Cs (0.2500, 0.2500, 0.2500)
Li (0.0000, 0.0000, 0.0000)
Sm (0.0000, 0.0000, 0.5000)
Cl (0.0000, 0.0000, 0.2476)


Record 2
Material: Cs2LiTaCl6
Method: DFT, GGA-PBE
State: optimized geometry

Calculated values
Total DFT energy (no corrections)   -4.23 eV per atom
Volume   27.80 Å³/atom
DFT formation energy   -1.934 eV/atom

Cell: 10.3604 10.3604 10.3604 Å, 90.00 90.00 90.00°
Space group Fm-3m (No. 225)
One atom of each set of equivalent atoms:
Cs (0.2500, 0.2500, 0.2500)
Li (0.0000, 0.0000, 0.0000)
Ta (0.0000, 0.0000, 0.5000)
Cl (0.0000, 0.0000, 0.2588)


Record 3
Material: Cs2LiTbCl6
Method: DFT, GGA-PBE
State: optimized geometry

Calculated values
Total DFT energy (no corrections)   -4.06 eV per atom
Volume   30.17 Å³/atom
DFT formation energy   -2.490 eV/atom

Cell: 10.6463 10.6463 10.6463 Å, 90.00 90.00 90.00°
Space group Fm-3m (No. 225)
One atom of each set of equivalent atoms:
Cs (0.2500, 0.2500, 0.2500)
Li (0.0000, 0.0000, 0.0000)
Tb (0.0000, 0.0000, 0.5000)
Cl (0.0000, 0.0000, 0.2501)


Record 4
Material: CsLu2Cl7
Method: DFT, GGA-PBE
State: optimized geometry

Calculated values
Total DFT energy (no corrections)   -4.52 eV per atom
Volume   29.61 Å³/atom
DFT formation energy   -2.665 eV/atom

Cell: 13.5015 6.9627 12.5991 Å, 90.00 90.00 90.00°
Space group Pnma (No. 62)
One atom of each set of equivalent atoms:
Cs (0.0429, 0.2500, 0.1958)
Lu (0.2376, 0.2500, 0.5405)
Lu (0.2492, 0.7500, 0.3423)
Cl (0.1105, 0.7500, 0.1884)
Cl (0.1245, 0.0074, 0.4250)
Cl (0.1366, 0.0103, 0.9599)
Cl (0.1768, 0.0136, 0.6933)


Record 5
Material: Cs2RbLuCl6
Method: DFT, GGA-PBE
State: optimized geometry

Calculated values
Total DFT energy (no corrections)   -3.98 eV per atom
Volume   37.69 Å³/atom
DFT formation energy   -2.508 eV/atom

Cell: 11.4667 11.4667 11.4667 Å, 90.00 90.00 90.00°
Space group Fm-3m (No. 225)
One atom of each set of equivalent atoms:
Cs (0.2500, 0.2500, 0.2500)
Rb (0.0000, 0.0000, 0.0000)
Lu (0.0000, 0.0000, 0.5000)
Cl (0.0000, 0.0000, 0.2746)


Record 6
Material: CsMgCl3
Method: DFT, GGA-PBE
State: optimized geometry

Calculated values
Total DFT energy (no corrections)   -3.56 eV per atom
Volume   29.84 Å³/atom
DFT formation energy   -2.322 eV/atom

Cell: 7.4135 7.4135 6.2692 Å, 90.00 90.00 120.00°
Space group P6_3/mmc (No. 194)
One atom of each set of equivalent atoms:
Cs (0.3333, 0.6667, 0.2500)
Mg (0.0000, 0.0000, 0.0000)
Cl (0.1541, 0.3081, 0.7500)


Record 7
Material: Cs3MnCl5
Method: DFT, GGA-PBE
State: optimized geometry

Calculated values
Total DFT energy (no corrections)   -4.06 eV per atom
Volume   37.00 Å³/atom
DFT formation energy   -2.061 eV/atom

Cell: 9.4286 9.4286 14.9824 Å, 90.00 90.00 90.00°
'''
So much for the crystal structures

Awareness of the devil's diversions

A Lenten reflection on temptation...
First Sunday of Lent's Gospel: Matthew 4:1-11 - Jesus is tempted in the desert

“Thus, Pope Francis observed, ‘we who want to follow Jesus, and who by our baptism have taken to the Lord’s path, must be well aware of this truth: we too are tempted, we too are objects of the demon’s attacks,’ for ‘the spirit of evil does not want us to become holy, it does not want us to bear witness to Christ, it does not want us to be disciples of Christ.’” ­–excerpt from Magnificat, March 2017; 'Day by Day' reflection for Sunday, March 5th

~~~
# 1
First-principles (GGA-PBE) data for Ca5P3ClO12 after structural relaxation, as listed in Materials Project.

a b c (Å): 9.833 6.773 19.646
angles (deg): 90.00 119.98 90.00
Space group P2_1/c (No. 14)
Unique sites:
1 Ca 0.017 0.247 0.125 [4 per cell]
2 Ca 0.251 0.248 0.383 [4 per cell]
3 Ca 0.266 0.749 0.758 [4 per cell]
4 Ca 0.326 0.504 0.080 [4 per cell]
5 Ca 0.340 0.504 0.587 [4 per cell]
6 P 0.032 0.248 0.454 [4 per cell]
7 P 0.377 0.247 0.234 [4 per cell]
8 P 0.409 0.746 0.439 [4 per cell]
9 Cl 0.001 0.575 0.249 [4 per cell]
10 O 0.079 0.077 0.920 [4 per cell]
11 O 0.088 0.055 0.433 [4 per cell]
12 O 0.130 0.236 0.046 [4 per cell]
13 O 0.146 0.748 0.075 [4 per cell]
14 O 0.265 0.072 0.710 [4 per cell]
15 O 0.272 0.059 0.206 [4 per cell]
16 O 0.340 0.576 0.881 [4 per cell]
17 O 0.350 0.743 0.498 [4 per cell]
18 O 0.365 0.556 0.387 [4 per cell]
19 O 0.408 0.239 0.519 [4 per cell]
20 O 0.463 0.244 0.685 [4 per cell]
21 O 0.497 0.243 0.323 [4 per cell]

Values from the calculation:
Formation enthalpy at 0 K = -3283 meV/atom
Crystal system = monoclinic
Uncorrected energy = -7.06 eV per atom



# 2
First-principles (GGA-PBE) data for Ca5P3ClO12 after structural relaxation, as listed in Materials Project.

a b c (Å): 9.8314 9.8314 6.7325
angles (deg): 90.00 90.00 120.00
Space group P6_3/m (No. 176)
Unique sites:
1 Ca 0.0186 0.7544 0.2500 [6 per cell]
2 Ca 0.3333 0.6667 0.5044 [4 per cell]
3 P 0.0319 0.4106 0.2500 [6 per cell]
4 Cl 0.0000 0.0000 0.0000 [2 per cell]
5 O 0.0845 0.3541 0.0646 [12 per cell]
6 O 0.1301 0.5947 0.2500 [6 per cell]
7 O 0.1461 0.6483 0.7500 [6 per cell]

Values from the calculation:
Formation enthalpy at 0 K = -3282 meV/atom
Crystal system = hexagonal
Uncorrected energy = -7.06 eV per atom



# 3
First-principles (GGA-PBE) data for Ca2P3Pb3ClO12 after structural relaxation, as listed in Materials Project.

a b c (Å): 9.9578 9.9578 7.1679
angles (deg): 90.00 90.00 120.00
Space group P6_3/m (No. 176)
Unique sites:
1 Ca 0.3333 0.6667 0.0046 [4 per cell]
2 P 0.0334 0.4200 0.7500 [6 per cell]
3 Pb 0.0103 0.7532 0.7500 [6 per cell]
4 Cl 0.0000 0.0000 0.0000 [2 per cell]
5 O 0.0841 0.3640 0.5750 [12 per cell]
6 O 0.1367 0.6026 0.7500 [6 per cell]
7 O 0.1418 0.6319 0.2500 [6 per cell]

Values from the calculation:
Formation enthalpy at 0 K = -2681 meV/atom
Crystal system = hexagonal
Uncorrected energy = -6.70 eV per atom



# 4
First-principles (GGA-PBE) data for Sr5Ca5P6Cl2O24 after structural relaxation, as listed in Materials Project.

a b c (Å): 9.870 7.033 9.882
angles (deg): 90.00 119.93 90.00
Space group Pm (No. 6)
Unique sites:
1 Sr 0.000 0.000 0.000 [1 per cell]
2 Sr 0.000 0.500 0.254 [1 per cell]
3 Sr 0.251 0.500 0.999 [1 per cell]
4 Sr 0.254 0.000 0.506 [1 per cell]
5 Sr 0.506 0.500 0.504 [1 per cell]
6 Ca 0.519 0.000 0.262 [1 per cell]
7 Ca 0.586 0.249 0.919 [2 per cell]
8 Ca 0.919 0.251 0.586 [2 per cell]
9 P 0.218 0.000 0.839 [1 per cell]
10 P 0.287 0.500 0.666 [1 per cell]
11 P 0.631 0.500 0.219 [1 per cell]
~~~
The data records stop here:

So often we lose sight of the devil’s main objective: to keep us from holiness; to keep us from Jesus. We go through our lives, our days, and when little things come up to divert our attention away from God or that deter us from a time of prayer, we don’t see it as a big deal; we don’t see it as a serious temptation. No matter how small it may be, even though it may not even be outright sinful, it IS a big deal. Why? Because the devil is accomplishing his one, his only, main goal – to keep us from growing in holiness; to keep us from life with Jesus Christ! There are many sins, temptations, neglects, and omissions that keep us from God, and many things that the devil uses to accomplish his goal. But often, for those of us who already avoid obvious and/or serious sin and temptation, the devil uses these subtle tactics to tempt us, to distract us, using even good things and good intentions to prevent us from spending time with Jesus, from keeping our focus on Him.

Above all, we need to cultivate this relationship with Christ; to keep our prayer time, to keep our focus on Him. If we take this time and keep this focus, sin will naturally uproot itself from our lives; because, the more time we spend with God and keep our focus on Him, the more we will grow in holiness – which means that sin will dissipate. In this, we defeat the evil one in the way most needed: we don’t allow him to pull us away from Jesus. We must be vigilant in fighting for our life with Christ so as to gain eternal life and defeat Satan. We need to watch for the little, subtle, hidden, sudden ways that the devil uses to try and make us fumble our time and our focus; for these ‘little’ things accomplish the evil one’s big goal: to keep us from growing in holiness. Let us not give in! Let us not let him win! We need to recognize these ‘little’ distractions and diversions and make a BIG difference in our lives by conquering them in order to grow with Christ, and become holy as He is holy.

It can be difficult to recognize the ways that the devil works sometimes… especially when we live in the world and are subject to all kinds of interruptions and changes that we often can’t help or control. But, there are things that we can control. Sometimes, I think the main problem is that many of us have such an incredibly hard time saying ‘no’. We have this intense desire to make everyone happy, to keep the peace, to be attentive and self-giving… sometimes to a fault. So when things come up, and we think ‘oh, I was planning on going to adoration’ or ‘I was planning to sit home & pray’, etc., ‘but I’ll just fit it in later’… how many times – honestly – do we not have time later, or don’t make the time later, or are too tired later and just fall asleep. Whatever. It happens all. the. time. And we proceed to think ‘oh well, it’s not a big deal, it’s just one day’, but the same thing happens again tomorrow or later in the week, etc. And because it is seemingly a little thing, we just keep plugging along, not realizing the long term effects on our spiritual journey.

Now, this is definitely NOT to say we should beat ourselves up, be all scrupulous and think we can’t let our plans be changed, or our prayer time be exchanged at times to assist someone in need, etc. We need to be discerning and sometimes the Lord needs us to move at a time when we don’t expect it and this is good! And it also doesn’t mean that when we do fall into these traps that we should spend all of our time lamenting over our weakness and fickleness and think we’ve failed. We are human, we will fall, we will make mistakes; and though I, personally, have this great resolve to keep attentive to the little things that the devil whispers to put me in a place of laziness, procrastination, etc. in my spiritual life, I will not always succeed. I honestly will probably falter and stumble and fumble at least 3 or 4 times before this first week of Lent is finished! The point is, that we just need to be aware of the ways that the devil tries to keep us from time with God and growth in holiness so that we can overcome them, little by little, and keep on the path of growing in holiness and defeat the demon's attacks. As Saint (Mother) Teresa is famous for saying: God doesn’t call us to be successful, He calls us to be faithful. We might not always be successful in recognizing and overcoming these diversions, but if we stay faithful, and keep trying, and keep getting up after we fall, we will fulfill the call of God in our lives to be faithful and we will grow in holiness!

/*
PBE Ba13Ca2Re9Cl3O45, optimized geometry; symmetry = P3; formation energy from the elements = -2.7561 eV per atom; uncorrected energy = -7.454 eV/atom
1.0
0.000 0.000 -7.889
-16.454 9.500 0.000
16.454 9.500 0.000
O Cl Ba Re Ca
90 6 26 18 4
direct
0.778 0.667 0.764
0.241 0.434 0.010
0.776 0.430 0.433
0.254 0.775 0.100
0.572 0.217 0.043
0.778 0.903 0.237
0.776 0.336 0.236
0.778 0.236 0.904
0.254 0.108 0.767
0.755 0.674 0.900
0.242 0.767 0.676
0.062 0.782 0.820
0.776 0.233 0.330
0.382 0.138 0.565
0.066 0.044 0.829
0.240 0.657 0.758
0.061 0.449 0.157
0.888 0.905 0.093
0.887 0.855 0.429
0.572 0.882 0.506
0.775 0.337 0.102
0.066 0.838 0.549
0.755 0.766 0.107
0.378 0.099 0.197
0.572 0.827 0.042
0.066 0.784 0.956
0.382 0.805 0.898
0.066 0.118 0.622
0.254 0.567 0.008
0.755 0.008 0.567
0.888 0.907 0.811
0.888 0.574 0.145
0.066 0.505 0.883
0.572 0.548 0.839
0.775 0.565 0.568
0.775 0.099 0.330
0.572 0.491 0.375
0.254 0.658 0.892
0.887 0.573 0.426
0.240 0.323 0.230
0.378 0.431 0.568
0.572 0.217 0.175
0.570 0.824 0.783
0.382 0.760 0.528
0.060 0.374 0.489
0.572 0.624 0.118
0.755 0.893 0.658
0.240 0.437 0.427
0.572 0.624 0.508
0.062 0.846 0.295
0.570 0.292 0.843
0.382 0.769 0.240
0.240 0.240 0.343
0.066 0.711 0.162
0.242 0.991 0.425
0.378 0.470 0.235
0.569 0.491 0.117
0.888 0.522 0.762
0.060 0.448 0.292
0.242 0.242 0.899
0.382 0.427 0.862
0.242 0.105 0.343
0.572 0.159 0.450
0.572 0.160 0.709
0.572 0.292 0.450
0.778 0.001 0.431
0.887 0.238 0.760
0.061 0.042 0.218
0.063 0.372 0.884
0.242 0.572 0.562
0.569 0.960 0.176
0.778 0.430 0.999
0.755 0.559 0.992
0.382 0.102 0.907
0.061 0.509 0.625
0.060 0.177 0.218
0.570 0.884 0.374
0.240 0.909 0.233
0.887 0.186 0.093
0.755 0.099 0.774
0.063 0.705 0.551
0.063 0.180 0.962
0.572 0.958 0.785
0.254 0.900 0.675
0.063 0.115 0.487
0.569 0.549 0.707
0.887 0.241 0.481
0.778 0.763 0.665
0.242 0.323 0.095
0.254 0.992 0.558
0.549 0.334 0.667
0.549 0.000 0.000
0.051 0.334 0.667
0.549 0.666 0.333
0.051 0.000 0.000
0.051 0.667 0.333
0.767 0.491 0.247
0.766 0.752 0.507
0.767 0.755 0.247
0.510 0.667 0.000
0.267 0.578 0.420
0.515 0.333 0.001
0.510 0.000 0.667
0.267 0.508 0.752
0.766 0.159 0.578
0.267 0.176 0.089
0.267 0.915 0.089
0.010 0.000 0.667
0.268 0.841 0.420
0.268 0.247 0.755
0.268 0.912 0.825
0.767 0.089 0.915
0.515 0.333 0.333
0.767 0.826 0.912
0.515 0.002 0.334
0.767 0.089 0.176
0.515 0.665 0.665
0.267 0.578 0.159
0.767 0.420 0.578
0.767 0.420 0.841
0.010 0.667 0.000
0.268 0.246 0.491
0.718 0.206 0.797
0.200 0.464 0.535
0.718 0.591 0.794
0.206 0.460 0.928
0.718 0.869 0.742
0.718 0.536 0.075
0.206 0.134 0.873
0.206 0.794 0.594
0.723 0.205 0.408
0.206 0.739 0.866
0.718 0.925 0.461
0.718 0.873 0.131
0.200 0.132 0.262
0.723 0.537 0.462
0.200 0.404 0.202
0.723 0.258 0.130
0.206 0.072 0.533
0.206 0.801 0.206
0.024 0.668 0.667
0.024 0.333 0.999
0.024 0.000 0.334
0.024 0.333 0.333

~~~~~

Record 1
Below is Tl4S3 after structural relaxation, with properties calculated at the PBE-GGA level.

The structure in CIF format:
```
data_Tl4S3
*/
So much for the crystal structures =

God bless you all and have a beautiful, life-changing, holiness-growing Lenten season!